“Now is the Winter of our discontent
Made glorious Summer by this sun of York."
The Life and Death of Richard the Third
(Act 1, Scene 1)
Welcome to
War of the Roses, a multi-player RPG/strategy game set in 15th Century England (1455-1485). Players are the current leading Heir of their House, representing one of the four rival royal houses vying for control of the throne of England. They will use their noble retainers to bring the enemy to battle, influence nobles to vote their way in Parliament, and wield their influence to gain the support of the landed gentry.
This will be a homegrown, experimental game based on the
GMT game, Crown of Roses. Certain current PC games got me thinking about overlaying an RPG onto a wargame. After mulling over which time period to choose, from Rome to the future of space, I fondly remembered how I loved executing other Houses' Royal Heirs in my bid to rule England and how this war lends itself so well to deceit and backstabbing.
I have basically stripped the game down to a skeleton of core concepts and hid them behind my GM curtain. The players will not be overly exposed to rules and number crunching, as in most wargames, but will be freer to concentrate on the strategies and interactions that real-life leaders deal with. Fog of war, uncertain alliances, untrustworthy underlings and fortuitous, or disastrous, events will be the feast upon the table. The majority of RP will occur between the players. I will, of course, control the other Nobles but will not fully RP some 30 characters. They will be very short on interactions and discussions. Expect many "Aye, M'Lord" & "Ney, M'Lord" responses.
Turns will represent 1-2 years of game world time and I believe the game will go 20 turns. The game may last anywhere from a number of weeks to a number of months of real time, depending on player activity and host brain damage.
As to whether this will work or not is anyone's guess but I believe it will at least be fun.
Now grab that sword, kiss your maiden and ride like hell to the sound of battle!
The usurpers must be crushed!
The Crown of England is at stake!!!This will be a Play-By-Post Game for 4 players, participants determined from sign-ups.
Please sign-up in red.
You may also post which House you may wish to play or not.
(See document below)
Participants will be determined randomly.
PM's are allowed, if not required, between players.
All messages between players must include the host.[PLAYER DOC]
The Roll of Parliament
Bonus Influence represents which Houses that Noble leans toward. The more roses, the more he favors that House. Some do favor more than one House.
Red roses favor Lancaster.
White roses favor York.
Yellow roses favor Buckingham.
Blue roses favor Warwick.
Influence Threshold represents that Noble's ease at which he can be swayed. The lower, the easier. The higher, the tougher.
Command represents how adept a military leader that Noble is. The higher, the better.
Rank represents how politically influential that Noble is. The higher, the better.
Nobles that become Royal Heirs cannot be Influenced away from their House.
All Royal Heirs are Nobles but not all Nobles are Royal Heirs.
Clarence, a Yorkist Noble, can become an Heir later in the game, if the situation is right, namely a number dead Yorkist Heirs. He may be Intrigued or Influenced by any player until he becomes the Senior Yorkist Heir.
Heirs, Nobles and Offices
The images above represent the strength and quality of the troops each Heir, Noble and Office carries. The top of each block is the full strength of that participant. As they take losses, the weaker strengths clockwise on the block are used.
Note, some have more available steps around their block, representing more troops. Eg. Norfolk has 4 steps while Scrope has only 2.
The color of the dice represent the quality of the troops. Red dice are the strongest, (hitting on a 4-6), blue are the middle, (hitting on a 5 or 6) and green are the weakest, (hitting on a 6 only).
The numbers on the bottom of the blocks are the same as the Command and Rank mentioned in The Roll of Parliament spoiler above.
Crown of Roses Board
We will use this board as a reference as to where units are currently positioned, where Home Estates are located and which Shires are held by which Houses. The color of the numbered box in each Shire represents to which House that Shire belongs. Colors are defined in The Roll of Parliament spoiler above as well as on the board legend. This is important for determining Economic Victory; i.e. holding Shires during the game.
Please ignore the tracks on the map, as we will not be using them.
Estate Locations of Nobles Highlighted on Map
The Black Hole of Cygnus X-1
Though I will have very limited internet from the 26th-16th
Hell yes to this, partly because I love this type of game, partly because I love this era of history. (Research of potential ancestry often points to this era, there are a few chancellors and knights of my surname originating/living in places I know my family live/originate from).
PSN: TheBrayster_92
I was just about to roll for Houses when The Brayster signed up.
Since Houses may have 2 active Heirs, a senior and a junior, I suppose we could have 2 players for one of the Houses, with those players conferring on actions, or, just 4 players selected from the 5 by die rolls.
Actually, I think 4 players would be best.
I'll roll them soon.
The Black Hole of Cygnus X-1
Geth, roll 1d1000 for Phyphor
Geth, roll 1d1000 for Kirindal
Geth, roll 1d1000 for Dex Dynamo
Geth, roll 1d1000 for The Brayster
The Black Hole of Cygnus X-1
[1]
Theoretical XRD peak list
Compound: Ag5PbCl8
Radiation: Cu Ka
Structure: a GGA-PBE-relaxed structure

Most intense lines, 5 to 70 degrees two-theta, low angle first:
22.0°, I = 39.4
25.8°, I = 100.0
31.3°, I = 13.3
38.6°, I = 18.4
41.0°, I = 47.5
44.8°, I = 58.8
50.4°, I = 7.3
52.4°, I = 14.1
60.6°, I = 11.1
62.3°, I = 22.9
65.2°, I = 8.6
69.7°, I = 6.0

Cell lengths 8.0900, 8.0900, 8.0900 Å; angles 60.00, 60.00, 60.00 degrees
Element x y z (fractional)
Ag1 0.0000 0.0000 0.0000
Ag2 0.1106 0.6298 0.6298
Ag3 0.6298 0.1106 0.6298
Ag4 0.6298 0.6298 0.1106
Ag5 0.6298 0.6298 0.6298
Pb1 0.2500 0.2500 0.2500
Cl1 0.3891 0.3891 0.3891
Cl2 0.3891 0.3891 0.8326
Cl3 0.3891 0.8326 0.3891
Cl4 0.3926 0.8691 0.8691
Cl5 0.8326 0.3891 0.3891
Cl6 0.8691 0.3926 0.8691
Cl7 0.8691 0.8691 0.3926
Cl8 0.8691 0.8691 0.8691


[2]
Theoretical XRD peak list
Compound: Ho3MgSc3
Radiation: Cu Ka
Structure: a GGA-PBE-relaxed structure

Most intense lines, 5 to 70 degrees two-theta, low angle first:
11.3°, I = 13.4
20.1°, I = 27.5
22.7°, I = 8.8
25.8°, I = 23.4
30.2°, I = 36.3
33.5°, I = 24.8
34.6°, I = 100.0
45.7°, I = 23.2
53.6°, I = 17.9
60.6°, I = 19.2
64.7°, I = 20.0
65.4°, I = 14.6

Cell lengths 9.0489, 9.0489, 5.3465 Å; angles 90.00, 90.00, 120.00 degrees
Element x y z (fractional)
Ho1 0.0990 0.6322 0.2500
Ho2 0.3678 0.4668 0.2500
Ho3 0.4668 0.0990 0.7500
Ho4 0.5332 0.9010 0.2500
Ho5 0.6322 0.5332 0.7500
Ho6 0.9010 0.3678 0.7500
Mg1 0.3333 0.6667 0.7500
Mg2 0.6667 0.3333 0.2500
Sc1 0.0517 0.8219 0.7500
Sc2 0.1781 0.2299 0.7500
Sc3 0.2299 0.0517 0.2500
Sc4 0.7701 0.9483 0.7500
Sc5 0.8219 0.7701 0.2500
Sc6 0.9483 0.1781 0.2500


[3]
Theoretical XRD peak list
Compound: AcPm3Y7
Radiation: Cu Ka
Structure: a GGA-PBE-relaxed structure

Most intense lines, 5 to 70 degrees two-theta, low angle first:
18.3°, I = 27.5
18.6°, I = 27.1
30.6°, I = 22.2
31.0°, I = 100.0
31.6°, I = 65.4
31.7°, I = 60.1
32.0°, I = 24.5
32.3°, I = 71.7
44.9°, I = 19.0
45.7°, I = 18.3
56.4°, I = 24.9
57.9°, I = 17.2

Cell lengths 7.0653, 5.6432, 10.0862 Å; angles 90.00, 108.65, 90.00 degrees
Element x y z (fractional)
Ac1 0.0000 0.0000 0.0000
Pm1 0.2807 0.5000 0.4954
Pm2 0.5000 0.0000 0.0000
Pm3 0.7193 0.5000 0.5046
Y1 0.0000 0.0000 0.5000
Y2 0.1441 0.5000 0.7861
Y3 0.3291 0.5000 0.1407
Y4 0.4300 0.0000 0.3314
Y5 0.5700 0.0000 0.6686
Y6 0.6709 0.5000 0.8593
Y7 0.8559 0.5000 0.2139

~~~~~

Diffraction record for Ce4NpP5. The X-ray diffraction stick pattern is theoretical, not measured: it uses a DFT-relaxed cell (GGA-PBE, Alexandria) and Cu Kα X-rays.
Kinematic intensities with the Lorentz-polarization factor, no thermal factor.

Most intense lines, 15 to 90 degrees two-theta, in order of rising 2θ:
2theta	Rel. int.
26.85	87
31.10	100
44.56	74
52.79	43
55.34	26
64.85	12
71.51	17
73.67	33
82.10	25
88.30	14

Structure:
a b c (Å): 7.044 7.044 7.044
angles (deg): 99.58 99.58 131.84
Sites, in units of the cell vectors:
Ce 0.098 0.300 0.398
Ce 0.300 0.902 0.202
Ce 0.700 0.098 0.798
Ce 0.902 0.700 0.602
The Brayster as Lancaster
Phyphor as York
Dex Dynamo as Buckingham
Kirindal as Warwick
Sorry, JusticeforPluto.
I'll PM players with info soon.
The Black Hole of Cygnus X-1
Lancaster - red
York - grey
Buckingham - goldenrod
Warwick - dodgerblue
The Black Hole of Cygnus X-1
Awfully nice of you, Dex!
JusticeforPluto is Buckingham.
The Black Hole of Cygnus X-1
The Black Hole of Cygnus X-1
Nobles and Heirs with multiple estates have been placed randomly.
Office blocks are placed slightly under the possessing Noble.
The color of the blocks isn't necessarily the House to which they belong.
The border outline, which also has the House crest, is what shows to which House they are currently pledged.
Red = Lancaster; White = York; Yellow = Buckingham; Blue = Warwick.
Shrewsbury is not available during Turn 1 for any targeted activities or actions, as indicated by being placed in the Vacant Offices area.
I will begin Turn 1 with any events that may occur.
The Black Hole of Cygnus X-1
Since Crown of Roses is a 2 to 4 player game, 2 being Lancaster vs York, they put Buckingham's Heirs and Warwick's Heirs in the Roll, as they could be Influenced if they weren't controlled by a Human player. Since we are playing with 4, those marked with "Senior Heir" or "Heir" are locked into that House.
Clarence, a Yorkist Noble, can become an Heir later in the game, if the situation is right, namely a number dead Yorkist Heirs. He may be Intrigued or Influenced by any player until he becomes the Senior Yorkist Heir.
E - Richard of York can no more be moved from his House than Henry can from his, so there is no need to show them.
EE - Stafford is in waiting on the Buckingham side and is not available to be acted upon.
The Black Hole of Cygnus X-1
If they're not on the map, (including on the Roll), and listed in the Roll, they can't be acted upon.
Consider them too young to be important, as of now.
E - Clarence is in waiting on the Yorkist side and is not available to be acted upon, until he enters the game, unless he enters as an Heir.
Currently, only Nobles that have their block on the map or Roll can be acted upon; eg. Montague & Rivers.
Tan background ("Neutral") Nobles can always be acted upon.
The Black Hole of Cygnus X-1
It's a bit messy.
Here goes.
Rule #1 - If they're not on the Roll, they can't be acted upon.
Rule #2 - If their block is not on the map or the Roll, they can't be acted upon. (Eg. Southwick)
Nobles marked with "Senior Heir" or "Heir" are locked into that House for the game. They represent a single personage and only leave the game at death of some sort.
Nobles of House-colored backgrounds with the Crown marking, (upper-right in their boxes), are available to be acted upon until they become an Heir of that House, once a vacancy becomes available, and are then locked into that House for the game. They will be marked as such. Even if they are under another House's control, they will revert to their original House's cause upon becoming an Heir. They, also, represent a single personage and only leave the game at death of some sort.
No Noble with an Heir counter on his box ever leaves his House's cause, except Clarence, who only is locked in when he becomes the Yorkist Senior Heir.
Nobles of House-colored backgrounds without the Crown marking are heavy-leaners that start alligned with those Houses. They are available to be acted upon always, at a penalty indicated by the roses in their box. They represent a family lineage and do not leave the game at death, (as the son becomes available), although they do become unaligned at that time. They still retain their favoring of certain Houses.
All tan background ("Neutral") Nobles can always be acted upon. They represent a family lineage and do not leave the game at death, (as the son becomes available), although they do become unaligned at that time. They, also, retain their favoring of certain Houses.
Shrewsbury is not available during Turn 1 for any targeted activities or actions, as indicated by being placed in the Vacant Offices area.
The Black Hole of Cygnus X-1
Opening events tonight.
The Black Hole of Cygnus X-1
Sir Andrew Trollope, a minor noble, pledges to the Lancastrian cause, offering political pull & a few military resources.
(Not represented on the map.)
The Archbishop of Canterbury makes known his favor for the cause of Warwick, offering political assistance.
Turn 1 Orders
Players now may set up their orders for Turn 1.
Inter-player discussion and questions to the GM are, of course, encouraged.
The Black Hole of Cygnus X-1
If one player has blocks in a shire, he controls it.
If multiple players have blocks in a shire, no one controls it.
If no player has blocks in a shire it is controlled by the player whose color is in the shire box, unless it's black. Then no one controls it.
The Black Hole of Cygnus X-1
Blocks are the units, at least in the physical game.
Not to get too picky...
The Black Hole of Cygnus X-1
Revisited Influence rules.
Rule #1 - If they're not on the Roll, they can't be acted upon.
Rule #2 - If their block is not on the map or the Roll, they can't be acted upon. (Eg. Southwick)
Rule #3 - Ignore Rule #2!
All Nobles on the Roll can be acted upon, unless they are marked "Senior Heir" or "Heir".
So, Southwick, and others, are available to be talked to until they become an actual Heir.
He likes to chat with others!
Sorry for the confusion.
The Black Hole of Cygnus X-1
The Black Hole of Cygnus X-1
The Influence/Intrigue "currency" is the same that is used to vote for who gets which of the seven non-Royal Offices.
The more spent here, the less available there.
There will be Parliament this turn, as there is the vacant Office of Lord Treasurer.
The Black Hole of Cygnus X-1
Militarily, you basically are ordering your units to move and/or possibly fight, to take Shires or kill enemy units, as well as protect each other and the Heirs. No need to mention defense, as units will defend automatically.
All units of one House in a Shire are considered as one force.
Name the Nobles/Heirs, where you may want them to go and what they may do if they encounter other forces. You may be after a certain enemy Noble or just trying to get to friendlier lands. Intent is what I'm after here. Results occur in the Resolution Phase.
For Influence & Intrigue, you are either trying to convince enemy Nobles to join your side or friendly Nobles to stay on your side.
These are the easier orders.
Just name the Noble target and put an effort level to it, eg. medium.
The Influence/Intrigue "currency" is the same that is used to vote for who gets which of the seven non-Royal Offices. The more spent here, the less available there.
The Black Hole of Cygnus X-1
Forgive your court jester's sloth, M'Lords!
Too much strong ale over the weekend...
The Black Hole of Cygnus X-1
Military Orders
Lancaster Moves - Clifford moved to Cumberland and Exeter moved to Buckingham.
York Moves - York moved to Chester and Essex moved to Hertford.
Buckingham Moves - None
Warwick Moves - None
Earl of March joins the York cause in Ireland as the Junior Heir.
Lord Southwick joins the Buckingham cause in Wiltshire as the Junior Heir, (and should/will have an Heir marker on his Roll box.)
Influence & Intrigues
Kent switches to the Lancaster cause in Flint.
Worcester joins the York cause in Hampshire.
Somerset switches to the Warwick cause in Dorset.
The King now chooses the location of Parliament, which is required, as the Office of Treasurer is open.
Players will then list which of their Nobles will attend.
The vote for King is the first order of business.
The Black Hole of Cygnus X-1
In these troubled times, we require strong leadership. I, as son of the senior house of Plantagenet, pledge to you, my loyal retainers, that I will provide the strong leadership required to pull England through these troubled times.
Our Plantagenet Empire in France will not be forgotten. Once we have our own house in order, we will regain the glory of the realm.
I would like to call a parliament in London, and expect all lords to attend as necessary.
PSN: TheBrayster_92
The Black Hole of Cygnus X-1
Henry VI - Senior Heir - King
Exeter - Admiral
Northumberland - Warden
York - Senior Heir - Lt of Ireland
March - Junior Heir
Norfolk - Marshal
Buckingham - Senior Heir - Chancellor
Southwick - Junior Heir
Salisbury - Senior Heir
Warwick - Junior Heir - Cpt of Calais
The Black Hole of Cygnus X-1
A Senior Heir must be attending Parliament to be considered for The Kingship.
If only one Senior Heir of all four attends, he will be declared King without a vote.
The Black Hole of Cygnus X-1
The gaining of supporters by Influence, Intrigue & Events takes place after the counting of Economic VPs, (total Shires controlled), and the movement to Parliament. This is to ensure that the faction holding shires by Nobles get that credit before they may be turned to another cause. The Player Doc has been adjusted.
What this means for this turn is March - York Junior Heir & Southwick - Buckingham Junior Heir are not in the game yet. They will not be at Parliament and will be placed in their Home Estates afterwards.
The Nobles which switched sides, Kent, Worcester & Somerset, arrive at Parliament, and then announce their changes of heart.
Victory Status
Turns As King
Lancaster = 0
York = 0
Buckingham = 0
Warwick = 0
Economic VPs
Lancaster = 6
York = 10
Buckingham = 7
Warwick = 6
Parliament in London
Lancaster Attending
Henry VI - Senior Heir - King
Lancaster Not Attending
Exeter - Admiral
Northumberland - Warden
York Attending
York - Senior Heir - Lt of Ireland
Norfolk - Marshal
York Not Attending
Buckingham Attending
Buckingham - Senior Heir - Chancellor
Buckingham Not Attending
Warwick Attending
Warwick - Junior Heir - Cpt of Calais
Warwick Not Attending
Salisbury - Senior Heir
Time to vote for King!
Please PM me your selection for a Senior Heir in attendance to act as or remain King.
E - Ties are resolved by the current King.
The Black Hole of Cygnus X-1
With the most support of both Nobles and Commoners, including Warwick's, Richard of York is named Lord Protector!
(King for game purposes.)
Lancaster & Buckingham supported their own Senior Heirs.
York will be giving up his Office of Lt of Ireland.
Voting for Offices is the next point of business.
First up is the Office of Lord Treasurer.
Please PM me the House you will support to claim this Office and how much of your Influence you will put behind it, remembering there are 2 other Offices to vote on, Lt of Ireland & one other to be determined randomly.
The Black Hole of Cygnus X-1